by Padre Mike Peterson
Only a handful of Anglican parishes dotted Upper Canada when hostilities between Britain and the United States commenced in 1812, but the fledgling Church in Canada was there to serve the defending troops, settlers, and First Nations. While some churches were physically destroyed and their congregations scattered, the Church as a whole served and endured. As we remember the War of 1812 in this bicentennial year, we as an Ordinariate can look back and see some of the earliest beginnings of Anglican military chaplaincy in Canada.

Before the War of 1812, the status of the Anglican Church in the Canadian colonies can best be described as favoured but not exclusively privileged. Despite the arguments of Anglican churchman such as Upper Canada’s John Strachan and Montreal’s Bishop Jacob Mountain that the Anglican Church’s “union, discipline, and order” would serve the government well and protect its sovereignty from “the levelling opinions” of “inferior [Protestant] sects” such as Methodists, whose preachers often came from the US and were politically as well as theologically suspect. Mindful of the French and Catholic majority in Lower Canada, and of the diverse Protestant settlement in Atlantic and Upper Canada, the Crown was never swayed by these prelates and refused to grant Established status to the Anglican Church inCanada. The Anglican Church flourished as best it could in Upper Canada, always short of trained clergy and much dependent on funding from the missionary societies.
Whereas the Crown’s representatives in Canada kept Church and State separate, the British military of the day upheld the Established Church of England and only accepted Anglican clergy as chaplains. However, due to abuses and lax performance, the office of regimental chaplain had been abolished by the British Army in 1796, replaced in 1809 by Brigade Chaplains, who received the King’s Commission and were under military discipline, each responsible for several thousand soldiers and their families. With few exceptions, only Church of England clergy, unencumbered by a parish or “the cure of souls” as it was called, were appointed, provided that they were approved by their bishops and were judged fit “for the fatigues and duties of their employment”. As many army units, and particularly those in Canada at the outbreak of the war, lacked military chaplains, provision was made to employ local “Clergymen of Good Character … on the spot”, to serve troops stationed locally.
In Upper Canada, where most of the fighting occurred, there were only a handful of Anglican clergy available to support the military. They included the Revs. G.O. Stuart (Kingston), John Strachan (York/Toronto), Robert Addision (Fort George/Niagara), and Richard Pollard (Sandwich/Windsor/Amherstburg). Later they would be joined by military chaplains fromGreat Britain, but for the first desperate year of the war these clergy were literally and solely “on the spot”. Besides their parish responsibilities, they were called on to perform the many onerous duties asked of them by an army in wartime.
[Calculated molecules that have nothing to do with the entry]
=====
# 1
Computed, not measured: a 10-piece molecular cluster, C20H60O16 overall in a non-equilibrium geometry, with the ωB97M-V functional and the def2-TZVPD basis.

Geometry as XYZ:
```
96
C20H60O16 | the Open Molecules 2025 dataset | the ωB97M-V functional and the def2-TZVPD basis
O -12.9063 31.3022 26.3436
H -10.1099 28.4542 30.8188
O -5.9000 31.2491 25.1472
H -9.7296 30.2155 28.0492
H -10.7150 26.0847 29.8816
C -12.4568 32.6132 26.7345
H -14.5373 24.3009 24.0807
O -9.3580 28.7694 25.0731
H -11.3765 32.7006 26.8927
H -12.7154 29.0871 30.5265
C -7.2621 31.2991 25.6530
C -15.2082 25.6257 28.3094
C -9.0528 28.2295 30.9884
O -13.8765 26.1442 28.4229
C -13.8057 29.0952 30.3666
C -10.7215 28.7405 26.9877
H -15.2024 24.5480 28.4854
H -13.5301 30.1821 28.8910
H -9.0259 29.5716 25.4977
H -10.8759 27.5081 25.2355
H -12.2604 24.2239 23.1478
H -8.0635 27.4082 26.8359
C -6.1590 27.7843 27.0635
C -8.1742 29.4291 30.6224
C -9.8495 27.7180 22.0868
H -11.4940 24.5527 31.8181
H -15.5498 25.7764 27.2825
H -4.7220 27.3794 25.5987
C -10.7205 28.5612 25.4799
O -7.6357 33.5747 24.9664
H -11.4144 24.8590 28.8480
C -16.1163 26.2809 29.3418
H -11.3982 29.2091 24.9241
H -14.9952 25.9501 21.8416
H -12.4543 30.6754 26.9189
C -5.8074 27.5500 25.6103
H -8.7798 29.4923 22.2811
H -11.7244 28.5995 27.4311
C -12.9699 25.0159 22.8828
H -14.0095 32.0734 31.3837
H -7.8505 30.8786 24.8330
O -8.3559 29.7589 29.2667
C -10.9831 25.0255 29.8412
H -7.2770 30.5882 26.4827
O -9.7724 24.3198 30.0797
O -13.9848 31.4191 30.6828
H -9.1985 29.1166 20.5509
O -13.0681 25.5741 31.0125
O -12.8096 25.4945 21.5407
H -14.6755 23.8949 22.3143
H -5.8253 30.5790 24.4668
O -7.5501 28.1403 27.1997
H -12.4470 23.7055 30.4491
H -15.7008 26.2297 30.3478
H -12.7713 33.6692 24.8556
H -5.5948 28.6098 27.4947
H -13.8775 27.0096 27.9963
H -10.2157 27.9611 27.5704
O -10.3423 30.0568 27.3163
C -12.0291 24.6266 30.8745
H -8.8463 27.4858 30.2135
H -17.0727 25.7516 29.4161
H -12.6420 25.8575 23.5106
H -6.1687 26.6035 25.2089
H -14.0878 28.0741 30.6340
H -9.7196 23.4937 29.5947
H -7.1133 29.1913 30.7714
O -7.5140 28.2351 21.4269
H -9.3360 26.6711 20.5433
H -7.2927 33.0925 24.2097
H -13.4406 25.8511 30.1513
H -9.5363 27.4706 23.0973
O -10.0109 26.5588 21.2176
C -14.4184 24.6507 23.0592
C -8.8466 28.7279 21.5068
H -12.0368 26.0678 21.4942
C -7.6469 32.6724 26.0797
H -16.3590 27.3183 29.1054
C -13.1401 33.6316 25.8841
H -6.0258 28.4320 25.0198
H -14.2994 30.0371 32.2182
H -8.1063 29.0522 28.6371
H -12.7733 32.7224 27.7861
H -7.3583 27.7706 20.5993
H -8.6303 32.6752 26.5598
O -13.9819 29.3235 28.9523
H -5.9581 26.8896 27.6604
C -14.5125 30.1878 31.1584
H -10.8506 28.1549 22.0052
H -12.8747 34.5922 26.3407
H -8.9263 27.8663 32.0049
H -8.3697 30.2786 31.2763
H -15.5784 30.0957 30.9465
H -6.9973 33.1021 26.8493
H -14.2182 33.5345 25.7869
O -15.2822 25.7518 22.7448
```

Values from the calculation:
orbital gap: 9.9 eV
SMILES: OCCO.OCCO.OCCO.OCCO.OCCO.OCCO.CCO.CCO.CCO.CCO
=====
Besides presiding at Divine Service at compulsory church parades, according to the Book of Common Prayer, hospital visits consumed much time, especially given the indifferent medicine of the age. As British soldiers were accompanied by dependants and camp followers, chaplains were also expected to minister to families, baptize children, and administer the regimental schools established “For the Management and Education of a Certain Number of Orphan and other Children … of the Army”. Clergy were also expected to raise the moral tone of the army, preaching “earnestly”, “railing” against drunkenness, and teaching in a manner “suited to the habits, Moral and Intellectual of the Soldier”. As clergy were expected to minister to far flung detachments and garrisons, and were indifferently compensated for their time and travel expenses, men such as Addison and Pollard spent much time in correspondence fighting for moneys owed to them.
Many of the Anglican clergy in Upper Canadawere directly touched by the war. Several saw their parishes destroyed and their congregations scattered. Robert Addison’s St. Mark’s Church in Niagara was burned by American troops in 1813, but was compensated by a share of the prize money when British troops captured Old Fort Niagara and Buffalo that year. Richard Pollard, who as a young man had already weathered one American invasion as a defender of Quebec City against Benedict Arnold in 1775, was driven out of his parish of St. John’s, Sandwich (now Windsor) when the Americans crossed the Detroit Frontier in Oct 1813, and was captured and detained in the subsequent British defeat at Moraviantown, where Chief Tecumseh was killed. Pollard returned toSt. John’sonly to see it burned weeks later, and spent the rest of the war atYork. John Strachan, the Garrison Chaplain ofYork, is well known for his role after the fort and town of York fell in April 1813. After the British retreated, he negotiated the terms of surrender with US General Dearborn and insisted that they be honoured; fearlessly scolding the Americans for plundering his parishioners’ property. When the Americans raided again that July, he even demanded successfully from US Commodore Chauncey that books stolen in the first raid be returned.
While these Anglican clergy generally did good and sometimes brave service, their work was neither representative of the religious complexity of the war, nor was it always appreciated by others. A Methodist soldier recovering in a British hospital heard Strachan preach “the marrow of Calvinism” and was unimpressed, writing in his journal that “God save us from such spiritual guides”. Methodist soldiers sought ministry from their own, and may even have been better served by their “saddlebag brigade” of circuit preachers. A considerable number of Roman Catholics also served in the Canadian militia and in British regiments raised in Ireland. On the American side, the war, largely initiated by southern politicians, had initially been opposed by the New England clergy as being immoral. A 2012 study of the few Regular and many militia chaplains in US service in the War of 1812 shows that very few were Episcopalians; the majority were Baptist, Methodist and Presbyterian.
Like clergy of all denominations, Anglican chaplains faced daunting challenges in the War of 1812. They did the difficult work of pastoral ministry in border regions riven with religious strife and suspicion; among neighbours who were recent immigrants from the US whose loyalties were sometimes violently doubted. They managed as best they could to lead their parishes through war and chaos, and sometimes literally rebuilt them. They comforted the sick and wounded in primitive military hospitals and in the wake of the horrific conditions of Napoleonic warfare. They did all of this work without any of the professional training, equipment, and support that we as chaplains take for granted, and they did it because of their faith in the gospel and their confidence in the gifts and durability of the Anglican tradition. If the Anglicanism of men like Strachan seems intolerant and even chauvinistic to us today, we should bear in mind that it is in part because of the devotion and resilience of these early clergy and chaplains that there is an Anglican Church of Canada today.
With thanks to the Rev. Dr. John Brinsfield, US Army Chaplain Corps Historian (retd.).
Padre Mike Peterson is the Base Chaplain at CFB Suffield. He blogs at